When I was the editor of Medical Device Developments almost a decade ago, there was no question what my calendar would look like in November. The sales and editorial teams planned their year around it, as did the majority of the medical device manufacturers and researchers I spent my days interviewing. Lest I were ever to forget, I could check the sign-off on pretty much any email correspondence in my inbox: ‘Will we see you at MEDICA this year?’
Until the pandemic, nothing had changed. For companies across the medical device sector, the year revolved around physical events. There was Arab Health in Dubai in January, MedtecLIVE in the Spring in Nuremberg, MEDICA in Düsseldorf in November and, depending on your company’s specialist area, possibly a trip to the US or Latin America too. At these gatherings, the industry put their heads together to come up with new innovations, discussed the challenges presented by new regulations and – let’s be honest, this was always the best bit – left their product samples in their hotels and hit the town to get to know their new partners properly over a few glasses of the local tipple.
“These events are pretty hectic,” laughs Jeremy Carrasco, sales director at France-based medical device company Kinetec. “After an early start at the exhibition venue, we go back to the room for literally 20 minutes to change and then it’s time for the second part of the day – the evening gatherings. We probably end up talking about business for 30% of the time and the rest is getting to know the person. This is really important for us as a lot of our customers are longtime partners. We know them very well personally and, whether it’s a pandemic or a local economic crisis, we try to help them through the storms.” About 10% of Kinetec’s expenses budget goes on physical events, which, prior to the pandemic, Carrasco would attend once a quarter. With 90% of the company’s turnover coming from outside France, this was essential to maintaining relationships with existing customers and acquiring new ones.
“At almost every single exhibition we’ve attended, we have met customers we’ve never heard of that have come to our stand and realised we could help them fill a tender. If you’re not physically there, you won’t get this.”
Jeremy Carrasco, Kinetec
Proportion of Kinetec’s expenses budget spent on physical events, prior to the pandemic.
He says not being able to attend real-life exhibitions has made it harder to drum up new business over the past 12 months, as there’s no way to replicate the spontaneous meetings that happen at the company’s stand in a virtual setting. “At almost every single exhibition we’ve attended, we have met customers we’ve never heard of that have come to our stand and realised we could help them fill a tender. If you’re not physically there, you won’t get this kind of enquiry. And then there’s the natural feeling you have with a person. That’s never going to be replaced with a Zoom call. It’s never going to have the same impact,” he says.
The Kinetec team decided not to attend any virtual events over the past year for this reason. They also didn’t feel the investment – which at MEDICA, for example, is similar to the cost of attending the physical event – was worthwhile. Carrasco says customers of his who did decide to attend proved his point. “They didn’t find these contacts and live leads that we get when we attend exhibitions in person,” he says.
A learning process
Christopher Boss, the show director of MedtecLIVE, said he got similar complaints from attendees after the first virtual version of their event in June–July 2020. The physical event takes place in Nuremberg and relies quite heavily on its location in Germany’s so called ‘Medical Valley’, which is home to wellknown research institutes, universities and SMEs, as well as international groups like Siemens Health.
It’s also within spitting distance of 50% of the medical companies in Germany, which are based in the south of the country. “Exhibitors were comparing the virtual show to the live show, which you just can’t do,” he says. “Interestingly though, after they’d attended other shows they came back and said ours was one of the best ones they’d attended. By then, they had others to compare it to.”
Boss nonetheless took the initial negative feedback to heart and says that the lessons he learnt from that first event, which was planned in only seven weeks, had a huge impact on what virtual MedtecLIVE Mark II looked like in April 2021. “The first version was basically presentation, presentation, presentation,” he admits. “Now it has an event character. We have a host – a moderator – who guides all the participants through the day, as well as a matchmaking programme.
“When you attend a virtual event, you need to be more active as an exhibitor. You can filter, you can select, you can directly contact other attendees on the platform, but only if you know all of these functions. The biggest lesson we learnt was that we need to train visitors and exhibitors on how to make the event successful for them, not just provide the platform.”
“Trade fairs have been the same for the past 40 to 50 years; the business model didn’t change. So, for us as an exhibition company, the coronavirus was a booster for digital transformation.”
Christopher Boss, MedtecLIVE
All in all, MedtecLIVE 2021 took place across four streams for eight hours, three days in a row, with a focus on content and contacts. “We don’t rely on 3D models or avatars walking around,” Boss says. “This is something we don’t think is essential for our customers.”
They did have a go at replicating the spontaneous meetings Carrasco and his colleagues are missing so much by allowing participants to create separate ‘meeting rooms’ to discuss topics of their choice, but Boss is realistic about the fact that it was never going to be the same. “People are looking forward to meeting again personally, whether it’s business or private, none more than me,” he says. “I took over MedtecLIVE during the pandemic, so I know lots of people from the computer but I’ve not met many of them live.”
Digital takes off
Nuremberg Messe, where MedtecLIVE is usually held, plans to resume physical events in the third quarter of 2021, but Boss is hesitant to call them ‘hybrid’ events. “It’s just a buzzword,” he says. “I prefer to describe them as live events with digital components.”
For him, it was about time to adjust. “Trade fairs have been the same for the past 40 to 50 years; the business model didn’t change. So, for us as an exhibition company, the coronavirus was a booster for digital transformation,” he says.
This will mean a wider target audience, as attendees who are only interested in one or two talks can access the event online, while speakers who may not have made the trip from the USA to Germany can still share their expertise via live streaming.
MEDICA, too, is planning for an on-site event in Dusseldorf in November 2021, by which time organisers say many people in Germany and other countries, especially in Europe, will have been vaccinated. Their plan is to expand their digital offerings and dovetail them with the on-site event.
Prior to the pandemic, MEDICA was already supplemented by an online portal, which provided current industry information, documented trends and allowed exhibitors to display their products and get in touch with their customers via the matchmaking function. The team is now developing this to include new online formats for communication, presentation and distribution of products, and working flat-out to make this content more attractive and user-friendly for attendees.
Carrasco will be the first through the door at Messe Dusseldorf. In fact, as he tells me over Zoom, I should measure his excitement about getting back on the road again by the speed with which he managed to get the first dose of the vaccine. He received it the day before we spoke. “My daughter didn’t want me to get it because she knows it means I will be away more,” he says. “But I miss my second home – Paris Charles de Gaulle Airport. I even miss jetlag. I miss seeing my customers face to face and I miss viewing the world as small. Now to me the other side of the world looks really far away again.”
[These data records were left in the article by mistake]
********
No. 1
Density functional theory data (the ωB97M-V functional and the def2-TZVPD basis) for a cluster of 2 separate species, C7H14NS in total.

Properties
Charge: +1
Kohn-Sham gap in eV: 7.575
Energy relative to the best compared isomer or geometry (same formula, charge and spin) in kJ/mol: 248.4

Atoms and positions in Å:
C  1.025  -2.729  1.681
C  0.452  -1.735  1.274
C  -2.168  1.256  -0.504
C  -0.412  -1.265  -2.141
C  -0.640  1.298  -0.500
C  0.709  -0.592  -1.294
C  -0.220  -0.513  0.941
N  -0.016  0.028  -0.229
S  2.589  1.731  2.754
H  1.769  -3.501  1.818
H  -2.492  2.214  -0.893
H  -2.502  0.604  -1.373
H  -2.685  1.104  0.409
H  0.041  -2.183  -2.596
H  -1.183  -1.606  -1.354
H  -0.954  -0.471  -2.810
H  -0.247  2.143  0.091
H  -0.344  1.590  -1.542
H  1.308  0.022  -1.867
H  1.145  -1.411  -0.826
H  -0.801  0.095  1.674
H  2.137  2.701  3.690
H  3.489  1.221  3.597

***

No. 2
Density functional theory data (the ωB97M-V functional and the def2-TZVPD basis) for an isolated molecule of C4H7N.

Properties
Kohn-Sham gap in eV: 9.945
Energy relative to the best compared isomer or geometry (same formula, charge and spin) in kJ/mol: 158.5
SMILES string: CCC=C=N

Atoms and positions in Å:
C  1.511  -0.231  0.511
C  0.032  -0.096  0.879
C  -0.754  0.701  -0.129
C  -1.641  0.168  -0.914
N  -2.327  -0.373  -1.788
H  2.062  -0.769  1.291
H  1.634  -0.776  -0.431
H  1.975  0.754  0.389
H  -0.416  -1.090  0.992
H  -0.058  0.401  1.850
H  -0.531  1.752  -0.279
H  -1.487  -0.443  -2.371

***

No. 3
Density functional theory data (the ωB97M-V functional and the def2-TZVPD basis) for an isolated molecule of C7H10.

Properties
Kohn-Sham gap in eV: 10.053
Energy relative to the best compared isomer or geometry (same formula, charge and spin) in kJ/mol: 127.7
SMILES string: C[C@@H]1[C@@H]2C=CC[C@H]12

Atoms and positions in Å:
C  -1.847  0.542  -0.080
C  -1.052  -0.757  -0.141
C  0.183  -1.055  0.718
C  0.859  0.091  1.380
C  1.474  0.862  0.487
C  1.191  0.419  -0.935
C  0.320  -0.822  -0.763
H  -2.312  0.764  -1.053
H  -2.657  0.486  0.656
H  -1.221  1.401  0.181
H  -1.689  -1.612  -0.379
H  0.541  -2.002  1.114
H  0.864  0.217  2.460
H  2.052  1.745  0.733
H  0.683  1.225  -1.476
H  2.102  0.179  -1.499
H  0.508  -1.682  -1.401

***

No. 4
Density functional theory data (the ωB97M-V functional and the def2-TZVPD basis) for a cluster of 2 separate species, C4H10ClO2 in total.

Properties
⟨S²⟩: 0.7523
2S+1: 2
Kohn-Sham gap (spin up / spin down) in eV: 10.718 / 5.511
Energy relative to the best compared isomer or geometry (same formula, charge and spin) in kJ/mol: 8.2

Atoms and positions in Å:
Cl  -5.562  -0.531  -0.268
C  2.831  -0.061  1.338
O  1.441  0.096  1.050
C  1.268  -0.179  -0.281
C  -0.239  -0.275  -0.645
O  -0.980  0.827  -0.181
C  -2.381  0.645  -0.437
H  2.971  -0.047  2.419
H  3.344  0.710  0.764
H  3.252  -0.994  0.964
H  1.690  -1.054  -0.775
H  1.703  0.612  -0.892
H  -0.571  -1.119  -0.039
H  -0.551  -0.529  -1.658
********
Virtual networking etiquette
While waiting for a return to in-person events, some conference organisers have begun providing attendees with guides to make the most of virtual environments. Here are some of BIOMEDigital’s key recommendations:
- Make it matter: No doubt the look and feel of your home office is not the same as a traditional office, but that doesn’t mean you should get comfy. Come prepared to fully engage. For example, use video if others are and dress appropriately to make the meeting feel real. If you’re hosting, come with an agenda. If you’re attending, research the host and come with questions.
- Mute your mic (sometimes): We’ve all been on large virtual calls when a persistent tapping sound or loud cough interrupts out of nowhere. For big calls where you’re mostly listening, mute is the way to go. For smaller calls, however, mute is not a given. According to Google, “milliseconds matter”. A delay of even five-tenths of a second when fumbling to unmute yourself is more than double what we’re used to in-person and it’s distracting. Plus, those ‘mmhmms’ and ‘OKs’ are a natural part of conversation, and demonstrate engagement.
- Pass the mic: Studies show that we take 25% fewer speaking turns on video calls where social cues are harder to decipher. With people chiming in less, video calls tend to be less dynamic. Do your part to make sure the conversation flows. Be inclusive. If you’ve had the stage for a while, ask someone else their thoughts.
- Stay in the ‘room’: It’s tempting to check email, IM with colleagues, or start opening other browser tabs, but losing focus not only takes you elsewhere; it’s distracting for the host if they see your eyes shifting or hear you typing.
- Light-bulb moments: Sometimes we’re so focused on who we’re speaking to, we forget to check ourselves out. Make sure the room you’re in is brightly lit or you’re near a window so you’re visible to others. If you can, use a neutral background to limit distractions.
- Save the snacks for later: Similar to the first point, we can get a little too comfortable in our home offices, but even if you spent the morning homeschooling your kids and skipping meals, keep the snacks (and crunching) at bay.
Source: BIOMEDigital